### File
+++
1.
Ho3Sc2Tl | PBE-GGA | relaxed

Computed properties:
Crystal system   orthorhombic
Total magnetic moment   0.7 μB per formula unit
Symmetry   Cmcm
Formation energy from the elements   -0.07 eV/atom

Cell: 8.7519 8.7519 6.7439 Å, 90.00 90.00 40.69°
Closest atoms and distances in Å follow each position.
Sites, in units of the cell vectors:
Ho: 0.1480 0.2329 0.7500  4 Sc 3.33-3.38, 5 Ho 3.39-3.62, 1 Tl 3.52
Ho: 0.1750 0.8250 0.7500  2 Tl 2.95-3.14
Ho: 0.2329 0.1480 0.2500  4 Sc 3.33-3.38, 5 Ho 3.39-3.62, 1 Tl 3.52
Ho: 0.7671 0.8520 0.7500  4 Sc 3.33-3.38, 5 Ho 3.39-3.62, 1 Tl 3.52
Ho: 0.8250 0.1750 0.2500  2 Tl 2.95-3.14
Ho: 0.8520 0.7671 0.2500  4 Sc 3.33-3.38, 5 Ho 3.39-3.62, 1 Tl 3.52
Sc: 0.3647 0.3647 0.0000  2 Tl 3.02, 4 Ho 3.33-3.38, 2 Sc 3.37
Sc: 0.3647 0.3647 0.5000  2 Tl 3.02, 4 Ho 3.33-3.38, 2 Sc 3.37
Sc: 0.6353 0.6353 0.0000  2 Tl 3.02, 4 Ho 3.33-3.38, 2 Sc 3.37
Sc: 0.6353 0.6353 0.5000  2 Tl 3.02, 4 Ho 3.33-3.38, 2 Sc 3.37
Tl: 0.3090 0.6910 0.2500  2 Ho 2.95-3.14, 4 Sc 3.02
Tl: 0.6910 0.3090 0.7500  2 Ho 2.95-3.14, 4 Sc 3.02


2.
Ho5ScTl3 | PBE-GGA | relaxed

Computed properties:
Crystal system   hexagonal
Total magnetic moment   1.1 μB per formula unit
Symmetry   P6_3/mcm
Formation energy from the elements   -0.25 eV/atom

Cell: 9.2675 9.2675 6.6202 Å, 90.00 90.00 120.00°
Closest atoms and distances in Å follow each position.
Sites, in units of the cell vectors:
Ho: 0.0000 0.3234 0.2500  5 Tl 3.07-3.31, 2 Sc 3.42
Ho: 0.0000 0.6766 0.7500  5 Tl 3.07-3.31, 2 Sc 3.42
Ho: 0.3234 0.0000 0.2500  5 Tl 3.07-3.31, 2 Sc 3.42
Ho: 0.3234 0.3234 0.7500  5 Tl 3.07-3.31, 2 Sc 3.42
Ho: 0.3333 0.6667 0.0000  8 Ho 3.31-3.55, 6 Tl 3.48
Ho: 0.3333 0.6667 0.5000  8 Ho 3.31-3.55, 6 Tl 3.48
Ho: 0.6667 0.3333 0.0000  8 Ho 3.31-3.55, 6 Tl 3.48
Ho: 0.6667 0.3333 0.5000  8 Ho 3.31-3.55, 6 Tl 3.48
Ho: 0.6766 0.0000 0.7500  5 Tl 3.07-3.31, 2 Sc 3.42
Ho: 0.6766 0.6766 0.2500  5 Tl 3.07-3.31, 2 Sc 3.42
Sc: 0.0000 0.0000 0.0000  2 Sc 3.31, 6 Ho 3.42, 6 Tl 3.55
Sc: 0.0000 0.0000 0.5000  2 Sc 3.31, 6 Ho 3.42, 6 Tl 3.55
Tl: 0.0000 0.3390 0.7500  5 Ho 3.07-3.31
Tl: 0.0000 0.6610 0.2500  5 Ho 3.07-3.31
Tl: 0.3390 0.0000 0.7500  5 Ho 3.07-3.31
Tl: 0.3390 0.3390 0.2500  5 Ho 3.07-3.31
Tl: 0.6610 0.0000 0.2500  5 Ho 3.07-3.31
Tl: 0.6610 0.6610 0.7500  5 Ho 3.07-3.31


3.
Ho2ScTl3 | PBE-GGA | relaxed

Computed properties:
Crystal system   tetragonal
Total magnetic moment   0.0 μB per formula unit
Symmetry   P4/mmm
Formation energy from the elements   -0.30 eV/atom

Cell: 3.6150 3.6150 11.8838 Å, 90.00 90.00 90.00°
Closest atoms and distances in Å follow each position.
Sites, in units of the cell vectors:
Ho: 0.0000 0.0000 0.1722  8 Tl 3.27-3.28, 4 Ho 3.62
Ho: 0.0000 0.0000 0.8278  8 Tl 3.27-3.28, 4 Ho 3.62
Sc: 0.0000 0.0000 0.5000  8 Tl 3.15
Tl: 0.5000 0.5000 0.0000  8 Ho 3.27, 4 Tl 3.62
Tl: 0.5000 0.5000 0.3448  4 Sc 3.15, 4 Ho 3.28
Tl: 0.5000 0.5000 0.6552  4 Sc 3.15, 4 Ho 3.28


4.
Ho2Sc2Tl3 | PBE-GGA | relaxed

Computed properties:
Crystal system   orthorhombic
Total magnetic moment   0.2 μB per formula unit
Symmetry   Cmmm
Formation energy from the elements   -0.16 eV/atom

Cell: 4.4961 23.8083 3.3618 Å, 90.00 90.00 90.00°
Closest atoms and distances in Å follow each position.
Sites, in units of the cell vectors:
Ho: 0.0000 0.0732 0.0000  1 Sc 3.17, 8 Tl 3.30-3.42, 3 Ho 3.36-3.48
Ho: 0.0000 0.9268 0.0000  1 Sc 3.17, 8 Tl 3.30-3.42, 3 Ho 3.36-3.48
Ho: 0.5000 0.4268 0.0000  1 Sc 3.17, 8 Tl 3.30-3.42, 3 Ho 3.36-3.48
Ho: 0.5000 0.5732 0.0000  1 Sc 3.17, 8 Tl 3.30-3.42, 3 Ho 3.36-3.48
Sc: 0.0000 0.2064 0.0000  4 Tl 3.06, 4 Sc 3.06-3.36, 1 Ho 3.17
Sc: 0.0000 0.7936 0.0000  4 Tl 3.06, 4 Sc 3.06-3.36, 1 Ho 3.17
Sc: 0.5000 0.2936 0.0000  4 Tl 3.06, 4 Sc 3.06-3.36, 1 Ho 3.17
Sc: 0.5000 0.7064 0.0000  4 Tl 3.06, 4 Sc 3.06-3.36, 1 Ho 3.17
Tl: 0.0000 0.3444 0.5000  4 Sc 3.06, 2 Tl 3.36
Tl: 0.0000 0.5000 0.5000  8 Ho 3.30, 2 Tl 3.36
Tl: 0.0000 0.6556 0.5000  4 Sc 3.06, 2 Tl 3.36
Tl: 0.5000 0.0000 0.5000  8 Ho 3.30, 2 Tl 3.36
+++
### Assignment
Your job: print every line above that contains the word "each".
### Worked solution
Closest atoms and distances in Å follow each position.
Closest atoms and distances in Å follow each position.
Closest atoms and distances in Å follow each position.
Closest atoms and distances in Å follow each position.